What to do:
The reader should start at the top of the rows further below and write out each line, ending with the one that has "62.3".
Listing:
Simulated powder X-ray diffraction pattern
Compound: Li5VF8
Radiation: Cu Kα X-rays
Structure: DFT lattice parameters and positions (GGA+U)
Peak positions follow from Bragg's law for the DFT cell and can differ from measured ones.

Atomic structure:
abc: 5.799 8.567 5.959
angles: 90.00 90.00 90.00
Space group Cmmm (No. 65)
Symmetry-distinct sites (fractional):
Li 0.000 0.000 0.000 x2
Li 0.250 0.250 0.229 x8
V 0.000 0.000 0.500 x2
F 0.000 0.230 0.000 x4
F 0.000 0.235 0.500 x4
F 0.227 0.000 0.260 x8

Largest 6 diffraction maxima, most intense first, 15 to 90 degrees two-theta:
d_spacing  Position (°2θ)  I/Imax  (hkl)
4.802  18.5  100  1 1 0
2.078  43.6  84  2 0 2
1.491  62.3  55  0 0 4
2.142  42.2  45  0 4 0
3.739  23.8  36  1 1 1
3.478  25.6  21  0 2 1

----------

1.
For HoEr2Cr2C4, the PBE geometry in Alexandria gives the simulated powder XRD pattern in this record (Cu Ka).

Structure:
```
data_HoEr2Cr2C4
_chemical_formula_sum 'Ho1 Er2 Cr2 C4'
_cell_length_a 6.7016
_cell_length_b 6.7016
_cell_length_c 5.9368
_cell_angle_alpha 110.06
_cell_angle_beta 110.06
_cell_angle_gamma 29.24
_symmetry_space_group_name_H-M 'P 1'
_symmetry_Int_Tables_number 1
_symmetry_space_group_name_Hall 'P 1'
loop_
_atom_site_label
_atom_site_type_symbol
_atom_site_fract_x
_atom_site_fract_y
_atom_site_fract_z
Ho1 Ho 0.0000 0.0000 0.0000
Er1 Er 0.1351 0.1351 0.5431
Er2 Er 0.8649 0.8649 0.4569
Cr1 Cr 0.3210 0.3210 0.0151
Cr2 Cr 0.6790 0.6790 0.9849
C1 C 0.2165 0.2165 0.1942
C2 C 0.4600 0.4600 0.2538
C3 C 0.5400 0.5400 0.7462
C4 C 0.7835 0.7835 0.8058
```

Top 10 peaks for 2θ = 5–70°, sorted by position:
two_theta  I (rel.)
25.30  25
27.37  82
28.09  78
32.25  71
34.67  100
38.55  34
40.64  66
41.64  90
44.10  25
54.22  25


2.
For Li2In8Ga, the PBE geometry in Alexandria gives the simulated powder XRD pattern in this record (Cu Ka).

Structure:
```
data_Li2In8Ga
_chemical_formula_sum 'Li2 In8 Ga1'
_cell_length_a 4.7988
_cell_length_b 4.7988
_cell_length_c 11.8366
_cell_angle_alpha 90.00
_cell_angle_beta 90.00
_cell_angle_gamma 90.00
_symmetry_space_group_name_H-M 'P 1'
_symmetry_Int_Tables_number 1
_symmetry_space_group_name_Hall 'P 1'
loop_
_atom_site_label
_atom_site_type_symbol
_atom_site_fract_x
_atom_site_fract_y
_atom_site_fract_z
Li1 Li 0.0000 0.0000 0.1686
Li2 Li 0.0000 0.0000 0.8314
In1 In 0.0000 0.5000 0.0000
In2 In 0.0000 0.5000 0.3572
In3 In 0.0000 0.5000 0.6428
In4 In 0.5000 0.0000 0.0000
In5 In 0.5000 0.0000 0.3572
In6 In 0.5000 0.0000 0.6428
In7 In 0.5000 0.5000 0.1820
In8 In 0.5000 0.5000 0.8180
Ga1 Ga 0.0000 0.0000 0.5000
```

Top 10 peaks for 2θ = 5–70°, sorted by position:
two_theta  I (rel.)
19.97  12
22.54  10
23.87  14
26.26  17
34.87  100
37.48  46
46.01  8
54.05  15
60.78  13
65.95  30


3.
For Tb4ErTe7, the PBE geometry in Alexandria gives the simulated powder XRD pattern in this record (Cu Ka).

Structure:
```
data_Tb4ErTe7
_chemical_formula_sum 'Tb4 Er1 Te7'
_cell_length_a 7.4635
_cell_length_b 7.4635
_cell_length_c 13.1813
_cell_angle_alpha 103.62
_cell_angle_beta 103.62
_cell_angle_gamma 33.03
_symmetry_space_group_name_H-M 'P 1'
_symmetry_Int_Tables_number 1
_symmetry_space_group_name_Hall 'P 1'
loop_
_atom_site_label
_atom_site_type_symbol
_atom_site_fract_x
_atom_site_fract_y
_atom_site_fract_z
Tb1 Tb 0.0000 0.0000 0.0000
Tb2 Tb 0.1842 0.1842 0.7634
Tb3 Tb 0.5862 0.5862 0.3882
Tb4 Tb 0.8850 0.8850 0.5747
Er1 Er 0.7699 0.7699 0.1517
Te1 Te 0.1445 0.1445 0.2248
Te2 Te 0.2240 0.2240 0.5274
Te3 Te 0.3836 0.3836 0.0766
Te4 Te 0.5459 0.5459 0.6239
Te5 Te 0.6289 0.6289 0.9277
Te6 Te 0.8477 0.8477 0.7919
Te7 Te 0.9221 0.9221 0.3572
```

Top 10 peaks for 2θ = 5–70°, sorted by position:
two_theta  I (rel.)
21.09  51
27.12  53
28.24  84
28.55  46
29.65  100
30.54  76
32.59  45
37.05  53
42.25  46
42.61  64


4.
For CsCu2Te2Se6, the PBE geometry in Alexandria gives the simulated powder XRD pattern in this record (Cu Ka).

Structure:
```
data_CsCu2Te2Se6
_chemical_formula_sum 'Cs1 Cu2 Te2 Se6'
_cell_length_a 6.9034
Done:
Simulated powder X-ray diffraction pattern
Compound: Li5VF8
Radiation: Cu Kα X-rays
Structure: DFT lattice parameters and positions (GGA+U)
Peak positions follow from Bragg's law for the DFT cell and can differ from measured ones.

Atomic structure:
abc: 5.799 8.567 5.959
angles: 90.00 90.00 90.00
Space group Cmmm (No. 65)
Symmetry-distinct sites (fractional):
Li 0.000 0.000 0.000 x2
Li 0.250 0.250 0.229 x8
V 0.000 0.000 0.500 x2
F 0.000 0.230 0.000 x4
F 0.000 0.235 0.500 x4
F 0.227 0.000 0.260 x8

Largest 6 diffraction maxima, most intense first, 15 to 90 degrees two-theta:
d_spacing  Position (°2θ)  I/Imax  (hkl)
4.802  18.5  100  1 1 0
2.078  43.6  84  2 0 2
1.491  62.3  55  0 0 4